File >
~~~
[1]
{"formula": "C34H36IrN5O6SSi", "method": "the ωB97M-V functional and the def2-TZVPD basis", "largest_force_ev_per_a": 3.8, "e_homo_ev": [-6.7997, -6.8199], "spin_multiplicity": 1, "e_lumo_ev": [-1.38, -1.11], "elements": ["Ir", "C", "O", "C", "C", "C", "C", "C", "C", "O", "C", "O", "C", "H", "H", "H", "H", "H", "H", "H", "H", "H", "N", "C", "C", "C", "C", "C", "C", "S", "O", "O", "N", "C", "N", "C", "C", "C", "N", "H", "H", "H", "H", "H", "H", "H", "H", "H", "C", "Si", "C", "C", "N", "C", "C", "C", "C", "C", "C", "O", "C", "C", "C", "C", "C", "C", "H", "H", "H", "H", "H", "H", "H", "H", "H", "H", "H", "H", "H", "H", "H", "H", "H", "H"], "coordinates": [[0.333, 0.714, 0.244], [7.269, 0.536, 0.664], [6.848, 0.677, 2.002], [5.522, 0.557, 2.258], [5.154, 0.585, 3.622], [3.841, 0.473, 3.974], [2.808, 0.372, 3.017], [1.423, 0.391, 3.382], [1.069, 0.475, 4.852], [0.465, 0.352, 2.586], [3.178, 0.310, 1.628], [2.364, 0.161, 0.662], [4.556, 0.403, 1.301], [8.358, 0.496, 0.692], [6.952, 1.388, 0.053], [6.879, -0.389, 0.228], [5.930, 0.694, 4.362], [3.591, 0.469, 5.023], [1.530, -0.345, 5.395], [-0.010, 0.407, 4.948], [1.410, 1.415, 5.277], [4.779, 0.348, 0.249], [-5.146, -1.276, -4.825], [-3.885, -0.905, -4.414], [-3.331, 0.311, -4.833], [-2.074, 0.684, -4.404], [-1.365, -0.152, -3.564], [-1.921, -1.326, -3.095], [-3.175, -1.708, -3.518], [0.226, 0.350, -2.959], [0.982, 0.992, -3.996], [0.829, -0.779, -2.289], [-0.185, 1.382, -1.771], [0.095, 2.676, -1.702], [0.604, 3.023, -0.488], [0.867, 4.293, -0.269], [0.617, 5.262, -1.231], [0.086, 4.809, -2.434], [-0.170, 3.542, -2.678], [-5.499, -0.828, -5.655], [-5.381, -2.251, -4.731], [-3.898, 0.946, -5.499], [-1.622, 1.613, -4.711], [-1.346, -1.924, -2.409], [-3.610, -2.632, -3.165], [1.291, 4.543, 0.697], [0.802, 6.309, -1.052], [-0.164, 5.487, -3.239], [-3.961, 1.351, 2.312], [-3.020, 1.443, 0.641], [-2.225, 3.167, 0.689], [-4.136, 1.388, -0.912], [-1.841, 0.159, 0.537], [-2.171, -1.131, 0.650], [-3.500, -1.589, 0.817], [-3.800, -2.916, 1.003], [-2.790, -3.871, 1.031], [-1.480, -3.478, 0.829], [-1.163, -2.145, 0.619], [0.099, -1.711, 0.425], [1.136, -2.616, 0.348], [1.359, -3.354, -0.805], [2.472, -4.171, -0.880], [3.360, -4.240, 0.181], [3.123, -3.512, 1.337], [1.998, -2.715, 1.431], [-4.495, 2.282, 2.473], [-3.246, 1.232, 3.122], [-4.676, 0.542, 2.398], [-2.923, 3.891, 1.101], [-1.956, 3.500, -0.306], [-1.333, 3.163, 1.306], [-4.755, 2.278, -0.965], [-4.792, 0.525, -0.964], [-3.507, 1.365, -1.798], [-4.293, -0.862, 0.804], [-4.828, -3.216, 1.143], [-3.020, -4.910, 1.206], [-0.692, -4.213, 0.853], [0.687, -3.247, -1.639], [2.655, -4.749, -1.774], [4.236, -4.868, 0.113], [3.817, -3.561, 2.165], [1.783, -2.150, 2.325]]}



[2]
~~~

Request >
Work out how many lines further above have the word "e_lumo_ev" in them; a number is enough.

Solution >
1